And yet you support a candidate who has praised a former KGB colonel who referred to the collapse of the Soviet Union as a great geopolitical tragedy. Putin: Soviet collapse a 'genuine tragedy'
As many real experts have said for years (Stephen F Cohen for example) the tragedy Putin referred to was that Russians got trapped in several different countrie. . One of those countries was Ukraine. When Ukraine started shelling the Russian speakers in the Donna's it started a war. A tragedy.
The more rational interpretation of Putin's categorization of the collapse of the Soviet Union taken together with his praise of old Czarist Russian Empire is that Vladimir considered it tragedy based on the loss of territory no longer under Russian control or even influence. Restoration of empire is the endgame for Russia’s Vladimir Putin Putin’s history lecture reveals his dreams of a new Russian Empire
The messages Ritter was sent are on the cellphone the FBI took from him a few weeks ago. Generally speaking, I suspect the people criticizing me here are not very logical. Math is not likely their strong point. Maybe they've been brainwashed to hate Russia/Putin. Maybe they're the mind-numbed robots Rush Limbaugh used to joke about. The person who most sees things my way (I think) is a professional day trader who can't afford to have his brain stuck his butt.
The real experts who would agree with what I posted: Jacques Bsad (Switzerland) Glenn Diesden (Norway), Greg Copley (Australia, Washington DC,/Alexandria, Andrei Martyanov (Russian military expert) Pepe Escobar (the great Eurasian expert/journalist @realpepeescobar on X), The Duran w/Alexander Mercouris (#1 foreign policy podcast in the world), John Mearsheimer (Univ of Chicago), Stephen F Cohen RIP (professor emeritus of Russian studies, NYU, Princeton), and the great one himself, Robert Barnes The crème de la crème of geopolitical analysts and strategic thinkers Chemgator prefers AP, Reuters, Yahoo News and the neocon think tank the ISW. I suppose some of you listen to the NYT (notoriously influenced by neocons at the State Dept) CNN and the WaPo (CIA influenced) and so on. The Deep State has many or most of you brainwashed. I'm sorry that happened to you.
'''
# 1
A geometry-optimized La2EuCd structure, computed with PBE.

The structure belongs to space group P4/mmm (No. 123); the cell edges are 5.341, 5.341 and 4.649 Å and the angles 90.00°, 90.00° and 90.00°. The asymmetric unit holds La at (0.000, 0.500, 0.000), Eu at (0.000, 0.000, 0.500) and Cd at (0.500, 0.500, 0.500).

As for the polymorph energy (0 for the lowest one): 40.5 meV per atom. The calculation puts the calculated volume at 132.61 Å³/cell. For the formation energy, the calculation gives -0.09 eV per atom.



# 2
A geometry-optimized Mn2SiPd structure, computed with PBE.

The structure belongs to space group I-42d (No. 122); the cell edges are 6.825, 6.825 and 5.054 Å and the angles 90.00°, 90.00° and 90.00°. The asymmetric unit holds Mn at (0.226, 0.250, 0.125), Si at (0.000, 0.000, 0.000) and Pd at (0.000, 0.000, 0.500).

The value obtained for the uncorrected formation energy is 0.59 eV per formula unit. The calculation puts the calculated volume at 235.38 Å³/cell.



# 3
A geometry-optimized YCoB structure, computed with PBE.

The structure belongs to space group P-6m2 (No. 187); the cell edges are 3.5669, 3.5669 and 3.9848 Å and the angles 90.00°, 90.00° and 120.00°. The asymmetric unit holds Y at (0.0000, 0.0000, 0.0000), Co at (0.6667, 0.3333, 0.5000) and B at (0.3333, 0.6667, 0.5000).

As for the polymorph energy (0 for the lowest one): 163.3 meV per atom. The calculation puts the calculated volume at 43.91 Å³/cell. For the formation energy, the calculation gives -0.33 eV per atom.



# 4
A geometry-optimized Cd2GaCo2 structure, computed with PBE.

The structure belongs to space group P4/mbm (No. 127); the cell edges are 6.082, 6.082 and 4.252 Å and the angles 90.00°, 90.00° and 90.00°. The asymmetric unit holds Cd at (0.170, 0.330, 0.000), Ga at (0.000, 0.000, 0.500) and Co at (0.133, 0.633, 0.500).

The calculation puts the calculated volume at 157.31 Å³/cell. For the formation energy, the calculation gives 0.05 eV per atom.
'''
Cool. You stick with Ritter, I'll stick with McMaster, Kotkin and a host of others who ACTUALLY know what they're talking about and aren't spewing hearsay nonsense. You're literally the only fucking person saying this outside of complete Russian hacks like Ritter. Let me guess, you'll be quoting "The Duran" next.
Stephen Kotkin will forget more about Russia in the next 30 seconds than your entire cadre will ever know.
Oh, you forgot Jeffrey "Shock Treatment" Sachs. You know, the guy who collapsed the Russian economy and tilled the soil for Putin's rise. He's a BIG member of team Putin Shill. Surprised you left him out since he and Mearsheimer are attached at the hip these days.
My degree was in Computer Science and my minor was Mathematics. Don’t think I’ve criticized you but can logically understand why it would happen.
So you linked to the Atlantic Council to explain a Putin speech? The AC is a notorious warmongering neocon think tank chock full of ex-US Deep State operatives. Putin became president in 2000. He wanted peace. He wanted to join NATO. He wanted to be our friend John Mearsheimer and Stephen F Cohen warned that the US was dragging Ukraine into a tragic war with Russia (after Obama overthrew the democratically elected president of Ukraine) The Biden administration wanted war in Ukraine. They could have prevented it with 1 phone call before the war started ("Stop the artillery shelling of ethnic Russians in the Donbas, honor the ceasefire agreement you signed, or the US will cut off the arms and cash we're now sending you"). In March 2022 a ceasefire agreement was ready to be signed by Zelensky and Putin. As predicted, Biden wanted war so he sent Boris Johnson to tell Z not to sign. It was the US and NATO that wanted war.
I had a friend tell me last night that the guy was a plant by the trumph campaign to keep the martyr label on him. So there is crazy on both sides.